Hello Readers! I welcome you all to the continuation from my previous story "Good Cop Gone Bad". I never expected how much readers would like that story, but so many did so I knew that the end of "good Cop Gone Bad" I knew that I had to continue it but in a different story. So here is that story, there will be as much excitement as the prequel had in this story, but in a different way that could be even more excitement. For those of you who stayed the whole way through the last story, I'm glad for your support.

also just a heads up, this is a different POV then most of my stories so I didn't label a POV, because this is someone else apart from the paw Patrol. But, starting in the next chapter I will be going back to my regular POV style from each character.

I also do not own Paw Patrol or any of the main things that go with that story, the made up places, my OC's and the story itself is what I own. Adventure bay, the pups, Ryder, etc. on the show are all own by nickelodeon.

so lets end the talking and get to the story, Readers I present to you "Paw Patrol: Collision Course"


It was a hot and muggy summer night in the city of Crystal Bay. In an alleyway on Main street, across from the mall, sounds of footsteps echoed off the wall of the alleyway as a dark figure entered a backdoor to an abandoned warehouse, followed by two other shadowed figures that follow the first into the warehouse. As they enter the dimly lit and large warehouse, the howling of the wind can be heard from the holes as a whistling sound, along with the faint sound of loose roof titles banging on the roof sounding like thunder in the distance. As they continue in, some light rain begins to fall through the small holes getting the last figure wet.

In the light, his brown fur shivers "ugh! I'm wet, now I'll smell like shit!" the Dog yelled trying shake the water out.

Then the rusty supports in the building start to creek "geez, why do we always have to meet the boss in run down, dirty, scum pits. It's not good for my reputation" the other dog said, his sleek silver fur shown as he stepped out of the shadows.

"Oh, For Dog's Sake, Would The Two Of you Grow A Pair and Stop Complaining! Wherever the boss wants to meet, we meet him there. No Question, No Complaints, and always early! Now keep moving you sad excuses for bodyguards!" The lead dog boomed at the two as the dog's voice bounced off the walls vibrating the building. The lead dog turned around and started stalking further into the warehouse, the other two followed with their tails between their legs.

As they approached the middle of the warehouse two Doberman Pinschers stepped onto a circle of light from a skylight in the roof above them.

"Welcome, the boss requires a security check" one said

"Of course, whatever he needs. We came as a group and with nothing on us as instructed. But please by all means check to make sure. It is what he wants." The lead dog said standing with their feet apart, the other dogs did the same next to the lead dog.

The Dobermans approached the three dogs and started to check the dogs. One turned around and faced a dark part of the warehouse. "they are all clean, Boss"

"that is good. Welcome my agents, how was the trip?" the Boss asked as he stepped into the circle. He turned out to be a Pitbull-Boxer mix, his body was covered in lean and thick muscles and looked like he could lift ten dogs with only one arm.

"it was good, Sir." The lead dog said

"Well that is great to Hear… Sylvia" the boss said

The blue furred German Shepheard stepped out into the light. "I'm happy to please you, Sir"

"Waxier and Boil, get out here" the boss said and the two dogs behind Sylvia stepped out into the circle.

Well, it seems that you three work well together since I paired you up when Sylvia was with that police pup.

Sylvia growled "I still can't believe that I didn't kill that pup, how he survived me shooting him is beyond me"

"It's ok, I have a feeling that you will be able to finish off that pup for good this time." The Boss said

"What do you mean Boss sir?" Waxier asked

"Well, I have a very secret, and dangerous mission. It is the utmost importance that it is kept a secret, that is why we are meeting here. This mission comes from above me" the Boss said

"What is the mission Sir" Sylvia asked, sounding intrigued.

"Your mission, if you choose to accept so, is to capture and eliminate the Paw Patrol and everyone who may get in your way. You may choose to just capture and bring them back alive but the pup above me would rather see them dead" The boss said

"Who is this job for?" Boil asked

"a snooty, spoiled, undisciplined Princess's pet pup with a British accent" the Boss sighed "I would rather the mission be to get rid of her but no because she is paying us." The boss said

"you can count on us Sir" Sylvia said

• Attached: data records:
┌──
Calculated XRD peak list
Compound: CrNi4Rh
Radiation: copper Kα
Structure: a cell relaxed with GGA-PBE

The 8 most intense peaks (10 to 90 degrees two-theta), sorted by position:
(hkl)  2θ (°)  intensity
1 1 1  23.33  5
2 0 0  27.00  5
2 2 0  38.56  34
3 1 1  45.55  100
2 2 2  47.70  34
4 2 2  69.76  11
5 1 1  74.68  28
4 4 0  82.64  23

Structure:
Lattice parameters (Å, degrees): 6.6046 6.6046 6.6046 90.00 90.00 90.00
Space group F-43m (No. 216)
Inequivalent atoms, fractional coordinates:
Cr: 0.0000 0.0000 0.0000 x4
Ni: 0.1250 0.1250 0.6250 x16
Rh: 0.2500 0.2500 0.2500 x4

~~~~~

Mg2AsO5: calculated PXRD pattern (Cu Kα), based on a structure optimized by DFT (PBE).

Cell and atoms:
a = 8.421 Å, b = 8.462 Å, c = 6.170 Å
α = 90.00°, β = 90.00°, γ = 90.00°
Space group Pnnm (No. 58)
Unique sites:
Mg: 0.000 0.000 0.247
Mg: 0.129 0.356 0.500
As: 0.248 0.244 0.000
O: 0.111 0.598 0.500
O: 0.130 0.223 0.225
O: 0.141 0.916 0.000
O: 0.143 0.917 0.500

Largest 6 diffraction maxima, by intensity, 10 to 90 degrees two-theta:
- d = 4.290 Å, I 100
- d = 2.984 Å, I 39
- d = 2.490 Å, I 33
- d = 4.982 Å, I 27
- d = 2.446 Å, I 27
- d = 2.454 Å, I 26



MgAs4P4O16: calculated PXRD pattern (Cu Kα), based on a structure optimized by DFT (PBE).

Cell and atoms:
a = 8.662 Å, b = 5.070 Å, c = 8.702 Å
α = 90.00°, β = 98.58°, γ = 90.00°
Space group Pm (No. 6)
Unique sites:
Mg: 0.000 0.000 0.000
As: 0.045 0.000 0.294
As: 0.417 0.500 0.656
As: 0.542 0.000 0.177
As: 0.918 0.500 0.804
P: 0.077 0.000 0.695
P: 0.358 0.500 0.302
P: 0.598 0.000 0.835
P: 0.828 0.500 0.162
O: 0.072 0.240 0.828
O: 0.193 0.500 0.332
O: 0.237 0.000 0.652
O: 0.392 0.250 0.207
O: 0.480 0.500 0.461
O: 0.483 0.000 0.960
O: 0.566 0.247 0.728
O: 0.656 0.500 0.098
O: 0.769 0.000 0.906
O: 0.874 0.252 0.260
O: 0.924 0.000 0.591
O: 0.936 0.500 0.021

Largest 6 diffraction maxima, by intensity, 10 to 90 degrees two-theta:
- d = 4.293 Å, I 100
- d = 3.272 Å, I 51
- d = 2.485 Å, I 34
- d = 4.016 Å, I 29
- d = 2.535 Å, I 26
- d = 2.949 Å, I 23



- Which formula does entry 2 have?
  MgAs4P4O16
└──

"Good because if you fail this mission, I have been ordered to send a team to hunt and eliminate You" the Boss said. Waxier and Boil swallowed hard and Sylvia nodded

"let's go, Scaredy cats" Sylvia ordered and the three ran out of the warehouse to a black dodge avenger waiting in the parking lot.

They jumped into the car and started up the car. "this mission sounds like a hard one, commander" Boil said to Sylvia

"this is going to be our hardest mission to date" Sylvia said in a dark tone mixed with concern.

Both Waxier and Boil froze solid "why is that, commander?" Waxier asked nervously

"I have a past with the paw patrol, and it's not a good one. i have no idea how this is going to end, I already killed one of them, so that makes it easier"

"oh, wait I heard about that mission, that was you who betrayed that police pup" Boil said surprised

"yeah that was me, then I shot him" Sylvia said coldly

"I hate to break it to you commander, but he was on the news the other day" Waxier said

"what that is impossible, I shot right through the vest he was wearing. Are you sure it was him?" Sylvia asked

"yeah, his name was Chase, and he is the police pup for the Paw Patrol" Waxier said

"Shit, well that news means this job just got 10 times harder boys" Sylvia said as they pulled out of the warehouse parking lot. They got onto the highway and followed the sign towards Adventure bay.

After about two hours of driving the black avenger arrived into Foggy Bottom. The neighboring city to Adventure bay, then they pulled off the highway.

"what's going on, why are we getting off here?" Boil asked

"we are meeting with someone who will be helping us to take down our targets." Sylvia said

"who are we meeting?" Waxier asked

"someone else who has some bad blood with the Paw Patrol as well, or well mainly one pup" Sylvia said

Just as she said that the car pulled up to another warehouse. When they all got out the warehouse door opened, and three dogs came out all wearing red bandanas around their necks.

"who are you and what are you doing here" A big German Shepheard said darkly

"I'm Sylvia and I'm here to talk to your boss" Sylvia said coolly

The German shepherd started to growl "what is it about"

"it's about taking down the Paw Patrol" Sylvia said with an evil smile

The shepherd's eyes then lit up with interest "follow me, my boss would love to hear this" he turned around and walk towards the warehouse. Once inside there were a lot more dogs spread out around the building all wearing bandanas of different shades of red. Sylvia, Waxier, and Boil were lead to the far wall where there was an office and it was guarded by two Pitbull guards.

The Shepheard nodded, and the guards let them inside. Inside the dimly lit office, there was a window where there was a silhouette of a chair.

"Craig, who have you brought into here" a voice said

"it's a girl sir, she said she is here to meet you about taking out the Paw Patrol" the Shepheard said

The chair turned around and the voice started laughing "ah then you must be Sylvia, little lady"

"yes, it's very nice to finally meet you" Sylvia said pleased

"I agree, I have been wanting to get back at the paw patrol" the voice said

"can I ask sir, why do you want to get back at the paw patrol" Waxier asked

Suddenly there was a growl "the reason is because they took my family from me a few years ago and turned him against me" the voice said angerly.

"sorry about my partner here, he doesn't know how to keep his mouth shut apparently" Sylvia said stomping on Waxier' s paw causing him to wince in pain "I'm sorry he brought that up" Sylvia said

"oh no that is quite alright, he is just curious" the voice said

"also, I don't believe that you ever mentioned your name since we have been in contact for the past year. If we are going to work together in person, I would like to know your name" Sylvia said

"oh, I'm sorry, I can't believe I never told you my name. geez, my mother would be ashamed of me, rest her soul." He voice said

"I'm sorry to hear that" Sylvia said

"she was great. anyway…" the voice started but the sound of him getting off the chair sounded then he stepped into the light.

The dog was a German shepherd who looked exactly like one on the pups on the paw patrol but only much older. He wore a black bandana and as he passed into the light it gave a slight gleam of red to it.

"My name is Swift, it is a pleasure to finally meet you Sylvia. Sorry to hear that you didn't get that Paw Patrol police pup." Swift said

"yeah, I guess he had more protection then I had thought" Sylvia said

"I'm glad that you didn't kill my little brother" Swift said angerly

Sylvia's head shot up and horror plastered her entire face "I-I-I"

"sorry, what I meant was I'm glad that you didn't put him down… because I want to." Swift said maliciously

"alright then, how are we going to do this" Sylvia asked with a wicked smile.

Oh Crap! Sylvia is back and wants revenge, Chase's Brother, Swift, is in this too but for more than revenge (foreshadow); and who is the pup that wanted this job done anyway? I guess we will find out in the upcoming chapters of this new story.

man this is going to be epic. I can't wait to see what happens next. so for those of who might know who is behind this and wants the Paw Patrol taken out, leave a review with your answer. also if you leave an answer or don't, please tell me what you thought about this first chapter. Tell me what you want to see happen in this story since this is the first chapter, or you can send me a PM and both you and me can discuss that topic further.

I also wanted everyone to know that Swift belongs to the "Paw Patrol Origins story" that I used bits of for my previous story. that story belongs to the talented Mokocchii, if you haven't already read it, please do. it is a great story and I read it all the time, it was what gave me the inspiration to start writing my stories. I hope that you all find a story on this site that does the same for you as that story did for me.

I hope that you all enjoyed this chapter and come back for the next one. Until we meet again, TTFN!